"3 Democrats Won't Seek Another Term"


The 2010 election season has barely begun - on the surface, anyway - but there is news this morning that three Democrats have decided not to run for re-election to big jobs. Christopher Dodd, who has represented Connecticut in the United States Senate for three decades, was facing a tough campaign and now, he's checked out. Two other top Democrats, a senator and a governor, have also decided not to seek another term.

We're going to talk about this with NPR's Ken Rudin. He's our political editor. Ken, good morning.

KEN RUDIN: Good morning, Steve.

INSKEEP: Was Senator Dodd's announcement a surprise for you?

RUDIN: Well, it was a surprise only because he said he was running, and he was running and he was raising money. But it - here's where it shouldn't have been a surprise: His poll numbers have been awful for a year. He's probably the most vulnerable senator of either party, even in a state as blue as Connecticut, which hasn't elected a Republican to the Senate since 1982. He trailed his Republican opponents in every - polls. There were charges he got sweetheart mortgage deals from Countryside Financial. He helped...

INSKEEP: Countrywide Financial, yes.

RUDIN: That's right. Countrywide, that's right. He helped write the bill that protected the bonuses for the executives of AIG. They said he was too close to the insurance company. And in 2008, when he was running for president, he moved his entire family to Iowa for the caucuses, a move that turned out to be very unpopular back in Connecticut.

INSKEEP: So we should you have this guy who, we should remember, was chairman of a powerful committee. He ended up being central to the whole response to the financial crisis, which is something where you could come off as a hero, or you could come off hated. And it seems like it worked against him.

RUDIN: That's true. And also, he played a major role in the overhaul of the health-care system, too. Because when Ted Kennedy was very ill, it was Chris Dodd who picked up the reins and really shepherded most of that language, too. But again, it's not totally bad news for the Democratic Party. Richard Blumenthal, the state attorney general who at noon today will announce he is running, he's the most popular politician in Connecticut. And so while the headlines say that the Democrats are bailing ship, you know, there's another bailout. But in the case of Connecticut, it may not be the worst news for the Democrats.

INSKEEP: What about in North Dakota, where there's another U.S. senator, a Democratic senator, who is retiring, Byron Dorgan?

RUDIN: That was a bigger shock and probably much worse news for the Democrats. This is a very red state. It always votes Republican for president. John McCain got 53 percent of the vote in North Dakota. But it seems to love its Democratic senators, Kent Conrad and Byron Dorgan. Dorgan has been there since 1986. But again, he just said he's tired of the whole thing. He got tired of the bickering, the lack of comity - not comedy but comity. And they have a very popular Republican there, John Hoeven, Republican governor there. And if Hoeven does run for the Senate, it looks like there could be a Republican pick-up. While Chris Dodd's numbers were always bad, Dorgan's were not. And I think that's the bigger shock here.

INSKEEP: There's another big Democratic governor of Colorado, Bill Ritter, who's decided not to run. We've just got a little time left here, Ken Rudin. I'm curious if these three retirement announcements mean something significant for the Republican Party now, who will be trying to capture those seats.

Here the text breaks off for data records:
=====
{
  "formula": "C34H63Br2N4O17",
  "method": "ωB97M-V/def2-TZVPD",
  "e_homo_ev": -11.69,
  "total_energy_ha": -7979.2002,
  "e_above_lowest_ev": 0.000,
  "total_charge": 1,
  "multiplicity": 1,
  "elements": ["C", "C", "Br", "C", "Br", "N", "N", "C", "C", "O", "C", "C", "N", "C", "C", "C", "O", "C", "C", "C", "C", "N", "H", "H", "H", "H", "H", "H", "H", "H", "H", "H", "H", "H", "H", "H", "H", "H", "H", "H", "H", "H", "H", "H", "H", "C", "C", "O", "C", "O", "O", "C", "H", "H", "H", "H", "H", "H", "H", "H", "C", "C", "O", "C", "O", "O", "C", "H", "H", "H", "H", "H", "H", "H", "H", "C", "C", "O", "C", "O", "O", "C", "H", "H", "H", "H", "H", "H", "H", "H", "C", "C", "O", "C", "O", "O", "C", "H", "H", "H", "H", "H", "H", "H", "H", "C", "C", "O", "C", "O", "O", "C", "H", "H", "H", "H", "H", "H", "H", "H"],
=====

RUDIN: Well, of course, you know, in the first midterm election of a new president, the in party always loses seats, and that's to be expected. This was a very bad-sounding day for the Democratic Party. Republicans hope to take advantage of it. But again, each state is individual and it could not - it may not be as bad for the Democrats as the headlines make it look out to be.

INSKEEP: Ken, thanks very much.

RUDIN: Thank you, Steve.

INSKEEP: That's NPR's political editor Ken Rudin. He writes the Political Junkie blog on npr.org. And again, our news here this morning: Connecticut Senator Christopher Dodd says he will retire rather than seek re-election. The same is true of Byron Dorgan, Democratic senator of North Dakota. And Colorado's Democratic governor, Bill Ritter, has also decided not to seek another term.